10 Steps for Choosing the Right Shelter Cat for You

The decision to get a shelter cat is exciting but it can also seem overwhelming. It’s a wonderful feeling to know you’ll be providing a forever home, but you may also be concerned with how to pick the right cat. Being impulsive when it comes to choosing a shelter cat may work out but to increase the chances of being the right home for the right cat, my recommendation is to be well-prepared. Here are my 10 tips.
1. Should You Get a Kitten or Adult Cat?
There are advantages to both but it’s important to look at the time you can take for training. A kitten will require more supervision and training. The house will may also need to be kitten-proofed as an inquisitive young kitten will want to explore just about everything. If you’re hoping for a cat with a certain temperament, then an adult cat may be the best choice.
2. Evaluate Your Home Environment
What is your family life like? Is it chaotic and busy or relaxed and calm? If your family life is very busy, think about whether you’d have time for the addition of a cat. Do you have children in the home? What are their expectations? If your children are very young, a kitten may not be the best choice because they are easily injured. Do you live alone and spend little time at home? Consider adopting two cats so they can keep each other company. You may find a pair of cats at the shelter who are already bonded.
3. Think About the Relationship You Want
Before going to the shelter, take time to think about what type of relationship you want with a cat. Are you looking for a cuddly lap cat who is quiet, or an active cat who will keep you on your toes? If you choose a long-haired cat will you have the time to do daily brushing? Are you looking for a cat who will sleep in bed with you or one who keeps a distance? To prevent disappointment for both you and your new cat, think about your relationship expectations.
4. Do You Already Have Pets at Home?
Be mindful of the furry family you already have. If you currently have a cat at home, try to match complementary personalities when choosing a second cat and be prepared to do a gradual introduction. If you have a dog at home, try to choose a shelter cat who has previous (and positive) experience with dogs.
5. Talk with Shelter Personnel
They can help you narrow down your search for the right cat. Don’t take offense at questions they ask because they’re intended to ensure a good match.
6. Do a Walk-Through and Look at the Cats Before Settling on One
== Attached: calculated crystals ==
┌──
This record from the Alexandria database describes crystalline BaTbMgZn at its relaxed geometry. The functional is PBE.

Output
DOS(E_F) = 0.725 states/eV per atom
crystal system = cubic
calculated volume = 30.574 A^3/atom
DFT formation energy = 0.01 eV/atom
SG = F-43m (216)
DFT total energy = -9.4 eV per cell

a = 5.5716 Å, b = 5.5716 Å, c = 5.5716 Å
α = 60.00°, β = 60.00°, γ = 60.00°
With the nearest neighbours (Å) after each atom.
Fractional positions:
1 Ba 0.0000 0.0000 0.0000  4 Mg 3.41, 4 Zn 3.41
2 Tb 0.5000 0.5000 0.5000  4 Zn 3.41, 4 Mg 3.41
3 Mg 0.2500 0.2500 0.2500  4 Tb 3.41, 4 Ba 3.41
4 Zn 0.7500 0.7500 0.7500  4 Ba 3.41, 4 Tb 3.41


This record from the Alexandria database describes crystalline AlCdOs2 at its relaxed geometry. The functional is PBE.

Output
ΔE to the lowest computed polymorph = 541 meV per atom
DOS(E_F) = 0.374 states/eV per atom
crystal system = tetragonal
calculated volume = 18.879 A^3/atom
DFT formation energy = 0.64 eV/atom
SG = I-42d (122)
DFT total energy = -49.1 eV per cell

a = 9.6405 Å, b = 9.6405 Å, c = 9.6405 Å
α = 155.75°, β = 155.75°, γ = 34.57°
With the nearest neighbours (Å) after each atom.
Fractional positions:
1 Al 0.0000 0.0000 0.0000  4 Os 2.59, 4 Cd 2.86
2 Al 0.7500 0.2500 0.5000  4 Os 2.59, 4 Cd 2.86
3 Cd 0.2500 0.7500 0.5000  4 Al 2.86, 4 Os 2.88
4 Cd 0.5000 0.5000 0.0000  4 Al 2.86, 4 Os 2.88
5 Os 0.0276 0.6250 0.9026  2 Os 2.37, 2 Al 2.59
6 Os 0.3750 0.2776 0.4026  2 Os 2.37, 2 Al 2.59
7 Os 0.7224 0.1250 0.0974  2 Os 2.37, 2 Al 2.59
8 Os 0.8750 0.9724 0.5974  2 Os 2.37, 2 Al 2.59


This record from the Alexandria database describes crystalline PrDy7Ho4 at its relaxed geometry. The functional is PBE.

Output
ΔE to the lowest computed polymorph = 275 meV per atom
DOS(E_F) = 1.670 states/eV per atom
crystal system = monoclinic
calculated volume = 32.786 A^3/atom
DFT formation energy = 0.27 eV/atom
SG = C2/m (12)
DFT total energy = -52.0 eV per cell

a = 6.7006 Å, b = 6.7006 Å, c = 12.5912 Å
α = 114.92°, β = 114.92°, γ = 51.99°
With the nearest neighbours (Å) after each atom.
Fractional positions:
1 Pr 0.0000 0.0000 0.0000  4 Dy 2.94-3.12
2 Dy 0.0588 0.0588 0.3307  4 Dy 3.29-3.51, 3 Ho 3.58-3.64
3 Dy 0.2107 0.2107 0.9218  1 Pr 3.12, 4 Dy 3.15-3.41, 4 Ho 3.25-3.38
4 Dy 0.3663 0.3663 0.4964  4 Dy 3.18-3.51, 3 Ho 3.25-3.47
5 Dy 0.5000 0.5000 0.0000  2 Pr 2.94, 2 Dy 3.15
6 Dy 0.6337 0.6337 0.5036  4 Dy 3.18-3.51, 3 Ho 3.25-3.47
7 Dy 0.7893 0.7893 0.0782  1 Pr 3.12, 4 Dy 3.15-3.41, 4 Ho 3.25-3.38
8 Dy 0.9412 0.9412 0.6693  4 Dy 3.29-3.51, 3 Ho 3.58-3.64
9 Ho 0.2505 0.2505 0.6836  4 Dy 3.25-3.57
10 Ho 0.3679 0.3679 0.2253  7 Dy 3.36-3.58, 2 Ho 3.67
11 Ho 0.6321 0.6321 0.7747  7 Dy 3.36-3.58, 2 Ho 3.67
12 Ho 0.7495 0.7495 0.3164  4 Dy 3.25-3.57


This record from the Alexandria database describes crystalline LiPtRh at its relaxed geometry. The functional is PBE.

Output
ΔE to the lowest computed polymorph = 100 meV per atom
DOS(E_F) = 1.124 states/eV per atom
crystal system = orthorhombic
└──
Trust me, it can be so easy to fall in the love with the very first cat you see, but take a moment and do a general walk-through. That way, you may find a couple of cats with whom you’d like to spend more time. If you just stop at the first cage, you may miss that amazing feline love of your life in the last cage on the other end of the room.
7. Spend One-on-One Time
Once you see a cat who touches your heart, spend some one-on-one time together. Most shelters have “get acquainted” rooms where you spend quiet time. This is the time to see how you both react to each other. Are you able to pet the cat? Does the cat like being held? How does the cat respond when you extend your hand? Remember, the cat may be frightened and the personality you see at the moment may not reflect how the cat will be in a home environment without all the shelter stress. What matters now is whether you feel a connection. Let the cat come to you. Take the time needed for the cat to feel secure enough to come toward you, even just a few steps.
8. Coming Home

Photo by Paweł Adamczak on Unsplash
Have a room set up for the newest feline family member. This room should have a litter box, scratching post, toys, feeding station, and places to hide. Even though you know you’re providing a wonderful new home for the cat, it may take time for the newcomer to get familiar. Coming from the shelter environment to a totally unfamiliar place can be overwhelming. Provide one room so the cat can get comfortable with the new smells, sights and sounds. Don’t ask your new cat to get to know an entire new home or apartment all at once.
9. Get to Know Each Other

Photo by Paul Hanaoka on Unsplash
If your new cat is timid or overwhelmed, let him get to know you before you introduce other family members. Let the cat set the pace of how much interaction he wants. Trust-building is important and it happens by letting your new cat take the initiative. If he’s scared, provide some hiding places for him by scattering open paper bags or boxes in the room. This way, he can feel somewhat invisible which will lower his stress level. Trust-building may take time or you may have adopted a cat who is ready to investigate his new home the moment you walk in the door. What’s important is that you let the cat set the pace.
10. Be Patient and Ask for Help if Needed
If you adopted an adult cat, keep in mind that he comes with a history. It may take him a little time to shake off his past or his stress from shelter life. Don’t expect your new cat to be the perfect feline companion 24 hours after coming home. If you have questions or concerns, stay in touch with the shelter because in most cases, the personnel are more familiar with the cat and can help guide you through any early rough patches.
Be patient, train with love and continue to build his trust. The time you spend now to help him feel secure, safe and loved, will pay off as you watch your newest family member blossom.